By: Mark Issa
-- Calculated crystals, kept here for reference --
~~~
Structure and simulated PXRD pattern of Li3FeP2O8 (DFT lattice parameters and positions (GGA+U); Cu Kα (weighted mean of Kα1 and Kα2)).
Peak positions follow from Bragg's law for the DFT cell and can differ from measured ones.

Crystal structure
Cell: 4.928 8.780 7.879 Å, 90.00 123.93 90.00°
Fractional coordinates of all 28 atoms:
Li: 0.000 0.000 0.000
Li: 0.000 0.500 0.500
Li: 0.329 0.138 0.818
Li: 0.329 0.362 0.318
Li: 0.671 0.638 0.682
Li: 0.671 0.862 0.182
Fe: 0.500 0.000 0.500
Fe: 0.500 0.500 0.000
P: 0.191 0.682 0.218
P: 0.191 0.818 0.718
P: 0.809 0.182 0.282
P: 0.809 0.318 0.782
O: 0.146 0.134 0.476
O: 0.146 0.366 0.976
O: 0.177 0.642 0.746
O: 0.177 0.858 0.246
O: 0.255 0.596 0.405
O: 0.255 0.904 0.905
O: 0.472 0.646 0.187
O: 0.472 0.854 0.687
O: 0.528 0.146 0.313
O: 0.528 0.354 0.813
O: 0.745 0.096 0.095
O: 0.745 0.404 0.595
O: 0.823 0.142 0.754
O: 0.823 0.358 0.254
O: 0.854 0.634 0.024
O: 0.854 0.866 0.524

Principal peaks in the range 2θ from 15° to 90°, in order of rising 2θ:
| d/Å | I_rel | (hkl) |
| --- | --- | --- |
| 5.243 | 100.0 | 0 1 1 |
| 3.707 | 61.9 | 1 1 0 |
| 3.645 | 35.3 | 0 2 1 |
| 3.474 | 53.8 | 1 1 -2 |
| 2.992 | 25.8 | 1 2 0 |
| 2.866 | 27.7 | 1 2 -2 |
| 2.692 | 29.6 | 1 1 1 |
| 2.622 | 56.5 | 0 2 2 |
| 2.514 | 51.3 | 1 3 -1 |
| 2.365 | 24.0 | 2 1 -2 |
~~~
July 11, 2013
Mere Presence: Were you “just there?”
No. 1
Calculated powder diffraction line list of Rb3YCl6 for λ = 1.5418 Å (Cu Kα), from DFT lattice parameters and positions (PBE).

Unit cell a=26.181 b=8.022 c=13.073 alpha=90.00 beta=99.51 gamma=90.00
Space group C2/c (No. 15)
Inequivalent atoms, fractional coordinates:
Rb  0.050  0.245  0.433
Rb  0.153  0.185  0.146
Rb  0.163  0.312  0.805
Y  0.000  0.292  0.750
Y  0.250  0.250  0.500
Cl  0.056  0.280  0.937
Cl  0.060  0.065  0.681
Cl  0.061  0.462  0.204
Cl  0.170  0.055  0.423
Cl  0.180  0.471  0.534
Cl  0.249  0.114  0.687

Largest 12 diffraction maxima, sorted by position, 10° ≤ 2θ ≤ 80°:
- hkl 5 1 -1, 2θ = 20.65°, d = 4.301 Å, I 24
- hkl 0 2 0, 2θ = 22.16°, d = 4.011 Å, I 26
- hkl 5 1 1, 2θ = 22.49°, d = 3.953 Å, I 64
- hkl 1 1 -3, 2θ = 23.23°, d = 3.829 Å, I 100
- hkl 8 0 0, 2θ = 27.66°, d = 3.225 Å, I 28
- hkl 6 2 -1, 2θ = 30.47°, d = 2.933 Å, I 35
- hkl 4 2 2, 2θ = 30.73°, d = 2.909 Å, I 27
- hkl 5 1 3, 2θ = 31.26°, d = 2.861 Å, I 33
- hkl 6 2 -2, 2θ = 32.06°, d = 2.792 Å, I 87
- hkl 4 0 4, 2θ = 33.05°, d = 2.710 Å, I 30
- hkl 10 0 0, 2θ = 34.74°, d = 2.582 Å, I 26
- hkl 2 2 -6, 2θ = 47.49°, d = 1.915 Å, I 29

***

No. 2
Calculated powder diffraction line list of Li3Bi2P3O12 for λ = 1.5418 Å (Cu Kα), from DFT lattice parameters and positions (PBE).

Unit cell a=15.108 b=9.318 c=9.254 alpha=90.00 beta=121.44 gamma=90.00
Space group C2/c (No. 15)
Inequivalent atoms, fractional coordinates:
Li  0.000  0.108  0.250
Li  0.181  0.359  0.290
Bi  0.092  0.245  0.643
P  0.000  0.417  0.250
P  0.145  0.102  0.076
O  0.053  0.126  0.102
O  0.060  0.495  0.686
O  0.086  0.319  0.392
O  0.106  0.133  0.888
O  0.184  0.057  0.618
O  0.233  0.205  0.201

Largest 12 diffraction maxima, sorted by position, 10° ≤ 2θ ≤ 80°:
- hkl 2 0 0, 2θ = 13.74°, d = 6.445 Å, I 38
- hkl 1 1 1, 2θ = 18.58°, d = 4.776 Å, I 100
- hkl 0 2 0, 2θ = 19.05°, d = 4.659 Å, I 63
- hkl 2 0 -2, 2θ = 19.29°, d = 4.601 Å, I 59
- hkl 3 1 -1, 2θ = 20.05°, d = 4.429 Å, I 72
- hkl 2 2 -2, 2θ = 27.24°, d = 3.274 Å, I 42
- hkl 3 1 -3, 2θ = 30.69°, d = 2.914 Å, I 39
- hkl 4 2 -2, 2θ = 31.57°, d = 2.834 Å, I 32
- hkl 5 1 -1, 2θ = 31.86°, d = 2.809 Å, I 46
- hkl 1 3 1, 2θ = 33.03°, d = 2.712 Å, I 56
- hkl 3 3 -1, 2θ = 33.88°, d = 2.646 Å, I 42
- hkl 6 2 0, 2θ = 46.55°, d = 1.951 Å, I 35

***

No. 3
Calculated powder diffraction line list of TaNiP for λ = 1.5418 Å (Cu Kα), from DFT lattice parameters and positions (PBE).

Unit cell a=6.110 b=3.590 c=7.115 alpha=90.00 beta=90.00 gamma=90.00
Space group Pnma (No. 62)
Inequivalent atoms, fractional coordinates:
Ta  0.024  0.250  0.167
Ni  0.147  0.250  0.567
P  0.221  0.750  0.375

Largest 12 diffraction maxima, sorted by position, 10° ≤ 2θ ≤ 80°:
- hkl 1 0 1, 2θ = 19.15°, d = 4.635 Å, I 15
- hkl 0 1 1, 2θ = 27.83°, d = 3.205 Å, I 32
- hkl 2 0 0, 2θ = 29.23°, d = 3.055 Å, I 19
- hkl 1 1 2, 2θ = 38.55°, d = 2.335 Å, I 86
- hkl 2 1 0, 2θ = 38.70°, d = 2.327 Å, I 13
- hkl 2 0 2, 2θ = 38.86°, d = 2.318 Å, I 12
So much for the calculated crystals:
Mere Presence
Okay, this one does not really have a statute that goes with it but this is an issue that comes up frequently in criminal cases in Georgia. It is implicated every time a defendant says “but I was just there” and this warrants closer examination.
“Mere presence” deals with a person’s participation in or relation to a crime. In order to be convicted of (most) crimes, you have to have intended to commit it. O.C.G.A. § 16-2-6. It is not enough for the State to prove that you were there when a crime was committed. See, for example, Reid v. State, 212 Ga.App. 787 (1994). Heck, it’s not even enough for the State to prove that you wanted it to happen. See Gresham v. State, 298 Ga.App. 136 (2009). So, you cannot be convicted of a crime just because you were there when it was committed.
Sounds pretty good right? Sounds like all of those “I was just there!!” defenses should work doesn’t it?Not so fast!
The State, and the courts, will look for any other evidence they can to show more than mere presence and approval. And they will often find it. This is because judges and prosecutors seem to treat the phrase “innocent until proven guilty” merely as a convenient philosophical nicety during campaign season and public appearances.
Remember the post on Party to a Crime? This principle often comes into play heavily in mere presence cases. If you recall, a person can be convicted of actually have committed a crime (even though they did not actually commit it themselves) if they did basically anything to help with it or encourage it. And that’s the hook.
In a mere presence case, the prosecutor often has no evidence as to who actually committed any given crime. So what do they do? Cut everybody loose? NO! They charge everybody there with having committed the crime on the theory that everyone there was a party to the crime.
This then allows the State to attempt to prove any given defendant’s guilt by what is called circumstantial evidence (this will be discussed more thoroughly in a later post). Circumstantial evidence is basically evidence that does not directly show that someone committed a crime, but shows that it islikely they did.
So what does this mean for mere presence? Well, it means that the State can and will attempt to prove a defendant who was merely at the scene of a crime was involved by that defendant’s “presence, companionship, and conduct before, during and after the offense.” In the Inerest of J.S., 269 Ga.App. 144 (2009). Sounds a great deal like guilt by association doesn’t it? Or guilt based on strange conduct?
This is a complicated area of the law to be sure. And it is always EXTREMELY fact specific. There are far more ins and outs to this sort of thing than are really practical to discuss in this post. However, it is important that a defendant understand that they will not necessarily escape punishment from the justice system based on the assertion (or fact) that “I was just there.”